How to Classify Thousands Of Unnatural Links (Really Quickly)

Posted on: June 10th, 2014 by Patrick Hathaway in Guides, How To

One of URL Profiler’s strengths is its speed and accuracy at auditing links. Our customers are using it every day to quickly recover from unnatural link penalties and penguin related downgrades. We’ve even got some who have used it to diagnose negative SEO attacks. Yeah, they do exist!

This post will show you how to very quickly classify thousands of links so you can figure which ones are unnatural. We have this information in video form, if you are more visually inclined:

Importing Links

An important part of link cleanup work is trying to find as many links as you possibly can. When carrying out link audits we will typically use 5 different link sources to try and make sure we have found as many links as possible.

Rather than forcing you to combine all the links and dedupe them yourself, URL Profiler will do this for you. So just import the raw data files and URL Profiler will combine them all, across a wide range of supported reporting tools:

  • Google Webmaster Tools
  • Bing Webmaster Tools
  • ahrefs
  • Majestic SEO
  • Open Site Explorer

Within URL Profiler, right click in the white box and choose to ‘Import from File’, then you can import multiple csv files in one go, and let the tool de-dupe the links for you.

Import Multiple CSV Files

Setting Up The Tool

URL Profiler is a bit of a swiss army knife, in that it can be used for many different tasks. To get maximum benefit out of each use, you need to adjust some of the setting specific to the task. URL Profiler will save these settings for the next use so if you are doing lots of similar tasks (e.g. link prospecting) you can just leave the settings alone after the first run.

Checking Your Links

_Here the page breaks off for calculated crystals_
********
(1)
## Mg3Si4 (PBE)

Data for a relaxed Mg3Si4 crystal.

Structure (POSCAR):
```
Mg3Si4
1.0
3.9496 0.0000 0.0000
-0.0230 8.3670 0.0000
-1.7738 -3.6825 8.1858
Mg Si
6 8
direct
0.0000 0.0000 0.0000 Mg
0.0265 0.6849 0.0785 Mg
0.1748 0.6251 0.4005 Mg
0.2024 0.0760 0.4404 Mg
0.6460 0.3106 0.3110 Mg
0.8614 0.3541 0.7431 Mg
0.0258 0.3540 0.0696 Si
0.2729 0.4256 0.5627 Si
0.3802 0.8929 0.7514 Si
0.4108 0.6525 0.8357 Si
0.4485 0.2131 0.9059 Si
0.5860 0.9595 0.1857 Si
0.6516 0.8042 0.3488 Si
0.8300 0.9740 0.6419 Si
```

Properties
For the calculated total energy, the calculation gives -3.684 eV per atom. Its energy above the most stable polymorph in this dataset is 49 meV/atom. Its total moment is 0.00 μB per cell. As for the calculated volume: 271 Å³/cell.



(2)
## Mg5Si6 (PBE)

Data for a relaxed Mg5Si6 crystal.

Structure (POSCAR):
```
Mg5Si6
1.0
4.0207 0.0000 0.0000
0.0216 6.7330 0.0000
1.8384 2.5854 15.0296
Mg Si
10 12
direct
0.0000 0.0000 0.0000 Mg
0.0332 0.5646 0.9317 Mg
0.1803 0.5586 0.6297 Mg
0.2466 0.2034 0.5013 Mg
0.2880 0.7257 0.4159 Mg
0.4590 0.6674 0.0849 Mg
0.6151 0.6388 0.7694 Mg
0.7109 0.8733 0.5653 Mg
0.8872 0.7990 0.2336 Mg
0.9256 0.3256 0.1529 Mg
0.1032 0.2946 0.7845 Si
0.1477 0.9846 0.6884 Si
0.3564 0.1109 0.2827 Si
0.3664 0.4824 0.2701 Si
0.4382 0.0294 0.1355 Si
0.4997 0.3120 0.0175 Si
0.5394 0.8391 0.9089 Si
0.5644 0.1992 0.8720 Si
0.6586 0.2150 0.6507 Si
0.7323 0.4866 0.5195 Si
0.8081 0.0436 0.3817 Si
0.8169 0.4159 0.3694 Si
```

Properties
For the calculated total energy, the calculation gives -3.602 eV per atom. Its energy above the most stable polymorph in this dataset is 58 meV/atom. Its total moment is 0.00 μB per cell. As for the calculated volume: 407 Å³/cell.



(3)
## Mg2Si3 (PBE)

Data for a relaxed Mg2Si3 crystal.

Structure (POSCAR):
```
Mg2Si3
1.0
3.6193 0.0000 0.0000
-1.7889 5.6132 0.0000
-1.6075 -1.8063 18.0598
Mg Si
8 12
direct
0.0000 0.0000 0.0000 Mg
0.0110 0.5672 0.4792 Mg
0.2673 0.5799 0.9241 Mg
0.3375 0.9801 0.7289 Mg
0.5783 0.8049 0.3474 Mg
0.7406 0.4321 0.0497 Mg
0.9425 0.6491 0.2052 Mg
0.9774 0.3150 0.6293 Mg
0.0232 0.3457 0.7837 Si
0.1793 0.1775 0.1451 Si
0.2829 0.9565 0.5770 Si
0.3328 0.2514 0.4017 Si
0.4498 0.8162 0.0942 Si
0.5530 0.1579 0.8869 Si
0.6379 0.5924 0.7461 Si
0.6684 0.0814 0.2254 Si
0.6692 0.7024 0.6195 Si
0.7894 0.0440 0.4851 Si
0.8753 0.3973 0.3283 Si
0.8969 0.8806 0.8555 Si
```

Properties
For the calculated total energy, the calculation gives -3.763 eV per atom. Its energy above the most stable polymorph in this dataset is 96 meV/atom. Its total moment is 0.00 μB per cell. As for the calculated volume: 367 Å³/cell.



(4)
## Mg3Si4 (PBE)

Data for a relaxed Mg3Si4 crystal.

Structure (POSCAR):
```
Mg3Si4
1.0
5.9740 0.0000 0.0000
-0.1787 6.5398 0.0000
-2.2119 -2.6114 6.7237
Mg Si
6 8
direct
0.0000 0.0000 0.0000 Mg
0.0285 0.8438 0.5177 Mg
0.1767 0.4126 0.8697 Mg
0.2489 0.2408 0.4580 Mg
0.5975 0.4356 0.2639 Mg
0.7015 0.4106 0.8978 Mg
0.0877 0.4692 0.2162 Si
0.3004 0.8111 0.2608 Si
********

We need URL Profiler to go and look at the links to your site, to determine things like:

  • Does the link still exist?
  • What anchor text is used on the link?
  • Where is the link positioned on the page?
  • What type of site is the link on?

In order to check the links still point at your site, we need to tell URL Profiler what your site is, so enter your domain name in the box ‘Domain to Check’ in the Link Analysis section at the bottom. You don’t need to worry about the ‘www’ bit unless you are specifically checking links to a subdomain.

I’ve written another post about why our link checker is awesome – and why the following settings are recommended – so I’ll not repeat myself here (you can read that post here).

Choose the Settings option top left and make sure ‘Connection Timeout’ is set above 40 seconds:

URL Profiler Connections Settings

Then navigate to the ‘Link Analysis’ tab, and push the maximum retries up to 5 (or at least 3). Again, read my other post if you want to know why this will give you the most accurate link analysis possible.

URL Profiler Link Analysis Settings
Defining Anchor Text

URL Profiler has a refined unnatural links classification system, which isn’t based on some fancy ‘machine learning algorithm’, but is instead based on how SEOs perform link classification.

When an SEO carries out a link classification, he/she is looking for patterns. We all know that SEOs of days gone by looked to scale any tactic that could get them links quickly and easily. By identifying patterns, you can identify link building footprints that will make your link classification much quicker.

For example, you might notice a few articles with heavily optimised anchors, and then look to see if there were many other links from article sites – a classic link building footprint. I wrote a lot more about this over on Search Engine Journal, and a lot of the same principles have been built into URL Profiler’s link classification system.

In order for it to work properly, you need to comprehensively define anchor text. So, after entering your domain to check, click the ‘Anchors’ button underneath:

Dodgy Backlinks

You will see 3 tabs – Branded, Commercial and Generic. So first define your branded anchor text, which is typically the name of the site, the web address and variations thereof:

Branded Anchor Text

Similarly, go to the Commercial tab and enter in any anchor text that might signify manipulative intent.

URL Profiler uses phrase matching so you don’t need to enter every single exact variation here. In my screenshot I have entered ‘seo’ – this would pick up both ‘seo links’ and ‘seo backlinks’ as commercial anchor text without me having to enter anything else – plus any other anchor text variations that have seo in them.


The Generic anchor text is pretty self explanatory, so just fill in a few options here:

Generic Anchor Text

I can’t emphasise enough the importance of entering your anchor variations properly (particularly Commercial) – it will save you a ton of time when you come to analyse the results.

Selecting Domain Metrics

== Attached: materials data ==
<<<
Mo3Pt after structural relaxation. Source: the Materials Project database, functional PBE. Values from VASP.

Values from the calculation:
DFT formation energy = -0.085 eV/atom
Theoretical density = 12.777 g/cm3
Polymorph energy (0 for the lowest one) = 0.0271 eV/atom
Space-group type = Pm-3m (221)

```
&SYSTEM
  ibrav = 0, nat = 4, ntyp = 2
/
ATOMIC_SPECIES
Mo 95.94 Mo.upf
Pt 195.08 Pt.upf
ATOMIC_POSITIONS angstrom
Mo 0.000 1.987 1.987
Mo 1.987 0.000 1.987
Mo 1.987 1.987 0.000
Pt 0.000 0.000 0.000
CELL_PARAMETERS angstrom
3.974 0.000 0.000
>>>

We deliberately built the link scoring system so that it doesn’t use any link metrics (such as Moz Domain Authority or PageRank). This is because an unnatural link isn’t an unnatural link because ‘Trust Flow is low’ – it’s an unnatural link because it was placed in order to manipulate the Google algorithm. If you somehow placed a highly optimised link onto itself, it would still be unnatural – never mind the PageRank.

That said – I do often look at some metrics to give me more information about my links (typically homepage PageRank, homepage index status, URL index status, Majestic Citation Flow & Trust Flow). However, we didn’t want the link scorer to be reliant on metrics, and we wanted it to be API independent. As such you can get very accurate link scores by selecting only the following:

Domain Metrics

Only ‘Site Type’ and IP Address. That’s it.

Site Type will identify if the site is an article repository, blog, link directory, forum etc… and the IP Address will allow you to identify links all coming from the same IP or subnet.

Once these settings are done, paste in your links and then run the Profiler. Armed with the site type and the anchor text, URL Profiler can find and classify all your links.

Analysing The Data

Once you open the results, you will be presented with a spreadsheet separated into different worksheets. The first sheet is a summary report.

Unnatural Links Results

This is simply an overview of the results – a bird’s eye view of the data. So you can see how many links were found, or not, and how many were classed as suspect, unnatural etc…

Many of our users will run this report before taking on new clients, almost like a risk analysis report!

It’s also really useful for getting a quick picture of how much work it might take to do an unnatural link clean up.

Link Scoring

The second sheet, entitled All, contains all the URLs and their data regardless of whether a link was found or not. The other worksheets split out the links based on their link score.

If we zoom in on some of the data you can see how this works:

Link Scores

This is a selection of links which we have deemed to be unnatural, which is listed in the ‘Link Score’ column.

Notice in the ‘reason’ column we are completely transparent with the data. There are no annoying codes or obscured reasoning, it is all perfectly clear so you can see exactly why we have come to this conclusion.

This represents a very important principle for URL Profiler – we believe that the data is YOUR data. We can tell you what we think, but at the end of the day you are the SEO expert, and where you add value is in your interpretation of the data. URL Profiler is a tool built by SEOs for SEOs, so we will always try to make our data as useful as possible.

At this stage, you will have an abundance of data about your links. You will know which links to ignore (nofollow links etc…) and which ones to be most concerned about. You will still need to spend some time going through and verifying the data (we can’t do everything for you!) but we are sure we will have saved you a hell of a lot of time.